-- Exercise --
Your job: restate everything below word for word.

-- Source --
'''
1.
# C2H12N4

A cluster of 2 separate species, C2H12N4 in total at a distorted geometry (ωB97M-V/def2-TZVPD, the OMol25 dataset).

```
18
Properties=species:S:1:pos:R:3:forces:R:3:lowdin_charge:R:1
N 5.721352 -0.723481 -3.207302 0.412 0.075 -0.104 -0.017
C 6.209695 -1.228550 -1.950678 -0.274 0.641 0.624 -0.369
N 5.175564 -1.336826 -0.868557 0.821 -0.414 -0.270 -0.016
H 5.523880 0.264093 -3.143811 -0.234 -0.025 -0.024 0.057
H 4.905093 -1.212486 -3.543232 -0.085 -0.025 0.116 0.059
H 6.958420 -0.527186 -1.572303 0.075 0.018 -0.331 0.100
H 6.747798 -2.154908 -2.121441 -0.225 -0.382 0.041 0.095
H 5.168391 -2.292517 -0.522770 -0.228 0.038 -0.092 0.047
H 5.521204 -0.797518 -0.082245 -0.262 0.072 0.039 0.044
N -6.283935 0.301171 2.791683 0.257 0.046 0.249 -0.021
C -6.031307 1.513128 2.031053 -0.365 -0.089 0.211 -0.388
N -4.847804 1.433851 1.172506 0.115 0.788 -1.046 -0.018
H -5.563789 0.169236 3.494115 0.019 0.056 -0.048 0.057
H -6.207321 -0.504397 2.180401 -0.111 0.047 -0.053 0.058
H -5.951368 2.363280 2.709060 0.212 -0.163 0.175 0.104
H -6.951161 1.695839 1.481846 -0.057 0.074 -0.418 0.094
H -4.407951 2.347158 1.044453 0.062 -0.081 0.753 0.057
H -5.142782 1.311148 0.204006 -0.132 -0.679 0.177 0.056
```
Positions in Å, forces in eV/Å.

The value obtained for the HOMO-LUMO gap is 10.6 eV. Its largest force on an atom is 1.31 eV Å⁻¹. The SMILES is NCN.NCN. The LUMO energy is 1.15 eV. Its charge is 0. The calculation puts the total energy at -8228.463 eV. The molar mass is 92.146 g mol⁻¹.

***

2.
# C2H12NO2

A cluster of 3 separate species, C2H12NO2 in total at a distorted geometry (ωB97M-V/def2-TZVPD, the OMol25 dataset).

```
17
Properties=species:S:1:pos:R:3:forces:R:3:lowdin_charge:R:1
C -1.478980 0.538222 -1.591877 -1.157 2.255 0.466 -0.086
C -0.996775 -0.483876 -0.597868 -0.312 -0.371 0.150 -0.182
N 0.210468 -0.008624 0.266046 -0.536 -0.309 0.231 0.208
H -2.218269 1.231396 -1.095534 0.466 -0.811 -0.511 0.101
H -0.779327 1.274943 -2.015730 0.485 -0.700 0.217 0.087
H -1.974973 0.094825 -2.455511 0.017 -0.257 0.269 0.090
H -1.809085 -0.791324 0.075121 0.403 0.388 0.055 0.133
H -0.731625 -1.410937 -1.100023 0.696 0.237 0.212 0.091
H 0.059007 0.135479 1.272559 -0.786 0.044 -0.314 0.169
H 0.585873 0.896568 -0.049866 0.255 -0.527 -0.235 0.160
H 0.887480 -0.772759 0.289612 0.391 0.252 -0.629 0.146
H 1.138792 3.174023 2.650085 0.108 0.197 0.039 0.037
H 2.117663 3.957370 1.764942 0.102 0.175 0.032 0.042
O 1.582908 3.162836 1.796834 -0.305 -0.532 -0.124 -0.065
H 1.039592 -3.497042 0.279144 -0.131 -0.666 -0.094 0.053
H -0.236046 -3.956526 -0.540780 0.200 -0.429 0.183 0.059
O 0.309986 -3.215804 -0.276712 0.105 1.053 0.052 -0.044
```
Positions in Å, forces in eV/Å.

The value obtained for the HOMO-LUMO gap is 11.6 eV. Its largest force on an atom is 2.58 eV Å⁻¹. The LUMO energy is -3.35 eV. Its charge is +1. The calculation puts the total energy at -7847.210 eV. The molar mass is 82.123 g mol⁻¹.

***

The evaluated energy relative to the best compared isomer or geometry (same formula, charge and spin) for the records listed, in turn: 7.0; 21.6 kcal/mol.

----------

No. 1
Molecular formula: C26H30AsBrF3O8RuSSi2Te
Method: DFT, the ωB97M-V functional and the def2-TZVPD basis

Geometry as ORCA input:
```
! RIJCOSX wB97M-V def2-TZVPD def2/J DEFGRID3
* xyz -2 2
Ru 0.763 0.190 -0.258
O 6.844 -0.973 0.231
C 5.710 -0.752 0.567
C 4.435 -1.238 -0.087
O 4.355 -1.883 -1.116
C 3.343 -0.797 0.772
C 3.822 0.056 1.801
O 3.106 0.695 2.614
C 5.302 0.078 1.770
O 6.078 0.603 2.536
O 2.096 -1.179 0.657
C 1.149 2.670 3.308
Te 0.763 0.789 2.340
C -1.236 1.756 2.296
C -1.311 2.531 3.569
C -2.481 2.753 4.290
C -2.461 3.482 5.474
C -1.260 3.990 5.950
C -0.084 3.755 5.246
C -0.098 3.023 4.064
H 1.396 3.398 2.535
H 2.012 2.558 3.960
H -2.077 1.090 2.155
H -1.189 2.435 1.441
H -3.415 2.343 3.919
H -3.379 3.650 6.026
H -1.235 4.552 6.878
H 0.859 4.133 5.626
C -3.462 -3.281 1.029
Si -3.086 -1.650 0.133
C -3.964 -0.327 1.148
C -4.022 -1.712 -1.508
As -0.734 -1.544 0.148
'''

-- Response --
1.
# C2H12N4

A cluster of 2 separate species, C2H12N4 in total at a distorted geometry (ωB97M-V/def2-TZVPD, the OMol25 dataset).

```
18
Properties=species:S:1:pos:R:3:forces:R:3:lowdin_charge:R:1
N 5.721352 -0.723481 -3.207302 0.412 0.075 -0.104 -0.017
C 6.209695 -1.228550 -1.950678 -0.274 0.641 0.624 -0.369
N 5.175564 -1.336826 -0.868557 0.821 -0.414 -0.270 -0.016
H 5.523880 0.264093 -3.143811 -0.234 -0.025 -0.024 0.057
H 4.905093 -1.212486 -3.543232 -0.085 -0.025 0.116 0.059
H 6.958420 -0.527186 -1.572303 0.075 0.018 -0.331 0.100
H 6.747798 -2.154908 -2.121441 -0.225 -0.382 0.041 0.095
H 5.168391 -2.292517 -0.522770 -0.228 0.038 -0.092 0.047
H 5.521204 -0.797518 -0.082245 -0.262 0.072 0.039 0.044
N -6.283935 0.301171 2.791683 0.257 0.046 0.249 -0.021
C -6.031307 1.513128 2.031053 -0.365 -0.089 0.211 -0.388
N -4.847804 1.433851 1.172506 0.115 0.788 -1.046 -0.018
H -5.563789 0.169236 3.494115 0.019 0.056 -0.048 0.057
H -6.207321 -0.504397 2.180401 -0.111 0.047 -0.053 0.058
H -5.951368 2.363280 2.709060 0.212 -0.163 0.175 0.104
H -6.951161 1.695839 1.481846 -0.057 0.074 -0.418 0.094
H -4.407951 2.347158 1.044453 0.062 -0.081 0.753 0.057
H -5.142782 1.311148 0.204006 -0.132 -0.679 0.177 0.056
```
Positions in Å, forces in eV/Å.

The value obtained for the HOMO-LUMO gap is 10.6 eV. Its largest force on an atom is 1.31 eV Å⁻¹. The SMILES is NCN.NCN. The LUMO energy is 1.15 eV. Its charge is 0. The calculation puts the total energy at -8228.463 eV. The molar mass is 92.146 g mol⁻¹.

***

2.
# C2H12NO2

A cluster of 3 separate species, C2H12NO2 in total at a distorted geometry (ωB97M-V/def2-TZVPD, the OMol25 dataset).

```
17
Properties=species:S:1:pos:R:3:forces:R:3:lowdin_charge:R:1
C -1.478980 0.538222 -1.591877 -1.157 2.255 0.466 -0.086
C -0.996775 -0.483876 -0.597868 -0.312 -0.371 0.150 -0.182
N 0.210468 -0.008624 0.266046 -0.536 -0.309 0.231 0.208
H -2.218269 1.231396 -1.095534 0.466 -0.811 -0.511 0.101
H -0.779327 1.274943 -2.015730 0.485 -0.700 0.217 0.087
H -1.974973 0.094825 -2.455511 0.017 -0.257 0.269 0.090
H -1.809085 -0.791324 0.075121 0.403 0.388 0.055 0.133
H -0.731625 -1.410937 -1.100023 0.696 0.237 0.212 0.091
H 0.059007 0.135479 1.272559 -0.786 0.044 -0.314 0.169
H 0.585873 0.896568 -0.049866 0.255 -0.527 -0.235 0.160
H 0.887480 -0.772759 0.289612 0.391 0.252 -0.629 0.146
H 1.138792 3.174023 2.650085 0.108 0.197 0.039 0.037
H 2.117663 3.957370 1.764942 0.102 0.175 0.032 0.042
O 1.582908 3.162836 1.796834 -0.305 -0.532 -0.124 -0.065
H 1.039592 -3.497042 0.279144 -0.131 -0.666 -0.094 0.053
H -0.236046 -3.956526 -0.540780 0.200 -0.429 0.183 0.059
O 0.309986 -3.215804 -0.276712 0.105 1.053 0.052 -0.044
```
Positions in Å, forces in eV/Å.

The value obtained for the HOMO-LUMO gap is 11.6 eV. Its largest force on an atom is 2.58 eV Å⁻¹. The LUMO energy is -3.35 eV. Its charge is +1. The calculation puts the total energy at -7847.210 eV. The molar mass is 82.123 g mol⁻¹.

***

The evaluated energy relative to the best compared isomer or geometry (same formula, charge and spin) for the records listed, in turn: 7.0; 21.6 kcal/mol.

----------

No. 1
Molecular formula: C26H30AsBrF3O8RuSSi2Te
Method: DFT, the ωB97M-V functional and the def2-TZVPD basis

Geometry as ORCA input:
```
! RIJCOSX wB97M-V def2-TZVPD def2/J DEFGRID3
* xyz -2 2
Ru 0.763 0.190 -0.258
O 6.844 -0.973 0.231
C 5.710 -0.752 0.567
C 4.435 -1.238 -0.087
O 4.355 -1.883 -1.116
C 3.343 -0.797 0.772
C 3.822 0.056 1.801
O 3.106 0.695 2.614
C 5.302 0.078 1.770
O 6.078 0.603 2.536
O 2.096 -1.179 0.657
C 1.149 2.670 3.308
Te 0.763 0.789 2.340
C -1.236 1.756 2.296
C -1.311 2.531 3.569
C -2.481 2.753 4.290
C -2.461 3.482 5.474
C -1.260 3.990 5.950
C -0.084 3.755 5.246
C -0.098 3.023 4.064
H 1.396 3.398 2.535
H 2.012 2.558 3.960
H -2.077 1.090 2.155
H -1.189 2.435 1.441
H -3.415 2.343 3.919
H -3.379 3.650 6.026
H -1.235 4.552 6.878
H 0.859 4.133 5.626
C -3.462 -3.281 1.029
Si -3.086 -1.650 0.133
C -3.964 -0.327 1.148
C -4.022 -1.712 -1.508
As -0.734 -1.544 0.148